Assignment:
Say how many lines of the lines further down hold the word "moment", as a bare number.

Given:
/*
1.
! AgPt2Au5 PBE optimized geometry; values from VASP
! DOS(E_F) ... 5.09 states/eV per cell
! Magnetic moment ... 0.00 μB per formula unit
! SG ... No. 55
! Formation enthalpy at 0 K ... 0.0117 eV/atom
! Calculated density ... 17791 kg/m3
! Offset from the most stable computed form ... 0 meV per atom
&SYSTEM
  ibrav = 0, nat = 16, ntyp = 3
/
ATOMIC_SPECIES
Ag 107.87 Ag.upf
Pt 195.08 Pt.upf
Au 196.97 Au.upf
CELL_PARAMETERS angstrom
5.757 0.000 0.000
0.000 11.473 0.000
0.000 0.000 4.191
ATOMIC_POSITIONS crystal
Ag 0.000 0.000 0.000
Ag 0.500 0.500 0.000
Pt 0.242 0.374 0.500
Pt 0.258 0.874 0.500
Pt 0.742 0.126 0.500
Pt 0.758 0.626 0.500
Au 0.000 0.500 0.000
Au 0.009 0.751 0.000
Au 0.242 0.123 0.500
Au 0.258 0.623 0.500
Au 0.491 0.251 0.000
Au 0.500 0.000 0.000
Au 0.509 0.749 0.000
Au 0.742 0.377 0.500
Au 0.758 0.877 0.500
Au 0.991 0.249 0.000

---

2.
! Ga3IrPb PBE optimized geometry; values from VASP
! DOS(E_F) ... 3.41 states/eV per cell
! Magnetic moment ... 0.00 μB per formula unit
! SG ... No. 221
! Formation enthalpy at 0 K ... -0.0626 eV/atom
! Calculated density ... 8760 kg/m3
! Offset from the most stable computed form ... 0 meV per atom
&SYSTEM
  ibrav = 0, nat = 5, ntyp = 3
/
ATOMIC_SPECIES
Ga 69.72 Ga.upf
Ir 192.22 Ir.upf
Pb 207.20 Pb.upf
CELL_PARAMETERS angstrom
4.868 0.000 0.000
0.000 4.868 0.000
0.000 0.000 4.868
ATOMIC_POSITIONS crystal
Ga 0.000 0.000 0.500
Ga 0.000 0.500 0.000
Ga 0.500 0.000 0.000
Ir 0.000 0.000 0.000
Pb 0.500 0.500 0.500

---

3.
! Cr2In2Pt PBE optimized geometry; values from VASP
! DOS(E_F) ... 8.85 states/eV per cell
! Magnetic moment ... 0.00 μB per formula unit
! SG ... No. 139
! Formation enthalpy at 0 K ... 0.2950 eV/atom
! Calculated density ... 10163 kg/m3
! Offset from the most stable computed form ... 0 meV per atom
&SYSTEM
  ibrav = 0, nat = 10, ntyp = 3
/
ATOMIC_SPECIES
Cr 52.00 Cr.upf
In 114.82 In.upf
Pt 195.08 Pt.upf
CELL_PARAMETERS angstrom
3.230 0.000 0.000
0.000 3.230 0.000
0.000 0.000 16.560
ATOMIC_POSITIONS crystal
Cr 0.000 0.500 0.250
Cr 0.000 0.500 0.750
Cr 0.500 0.000 0.250
Cr 0.500 0.000 0.750
In 0.000 0.000 0.106
In 0.000 0.000 0.894
In 0.500 0.500 0.394
In 0.500 0.500 0.606
Pt 0.000 0.000 0.500
Pt 0.500 0.500 0.000

---

4.
! Tl3Tc2HgO8 PBE optimized geometry; values from VASP
! DOS(E_F) ... 6.10 states/eV per cell
! Magnetic moment ... 0.72 μB per formula unit
! SG ... No. 164
! Uncorrected formation energy ... -1.12 eV per atom
! Calculated density ... 5622 kg/m3
&SYSTEM
  ibrav = 0, nat = 14, ntyp = 4
/
ATOMIC_SPECIES
Tl 204.38 Tl.upf
Tc 98.00 Tc.upf
Hg 200.59 Hg.upf
O 16.00 O.upf
CELL_PARAMETERS angstrom
6.284 0.000 0.000
-3.142 5.442 0.000
0.000 0.000 9.826
ATOMIC_POSITIONS crystal
Tl 0.000 0.000 0.000
Tl 0.333 0.667 0.717
Tl 0.667 0.333 0.283
Tc 0.333 0.667 0.151
Tc 0.667 0.333 0.849
Hg 0.000 0.000 0.500
O 0.181 0.362 0.211
O 0.181 0.819 0.211
O 0.333 0.667 0.970
O 0.362 0.181 0.789
O 0.638 0.819 0.211
O 0.667 0.333 0.030
O 0.819 0.181 0.789
O 0.819 0.638 0.789

---

5.
! AlTe2Rh PBE optimized geometry; values from VASP
! DOS(E_F) ... 2.91 states/eV per cell
! Magnetic moment ... 0.00 μB per formula unit
! SG ... No. 139
! Uncorrected formation energy ... 0.01 eV per atom
! Calculated density ... 7054 kg/m3
&SYSTEM
  ibrav = 0, nat = 8, ntyp = 3
/
ATOMIC_SPECIES
Al 26.98 Al.upf
Te 127.60 Te.upf
Rh 102.91 Rh.upf
CELL_PARAMETERS angstrom
5.538 0.000 0.000
0.000 5.538 0.000
0.000 0.000 5.911
ATOMIC_POSITIONS crystal
Al 0.000 0.000 0.000
Al 0.500 0.500 0.500
Te 0.000 0.500 0.000
Te 0.000 0.500 0.500
Te 0.500 0.000 0.000
Te 0.500 0.000 0.500
Rh 0.000 0.000 0.500
Rh 0.500 0.500 0.000

---

6.
! Fe2HPd2 PBE optimized geometry; values from VASP
! DOS(E_F) ... 8.45 states/eV per cell
! Magnetic moment ... 6.82 μB per formula unit
! SG ... No. 127
! Calculated density ... 7453 kg/m3
! Offset from the most stable computed form ... 0 meV per atom
&SYSTEM
  ibrav = 0, nat = 10, ntyp = 3
/
ATOMIC_SPECIES
Fe 55.84 Fe.upf
H 1.01 H.upf
Pd 106.42 Pd.upf
CELL_PARAMETERS angstrom
*/

Solution:
6